At last! My favourite painting in miniature


“Gentlemen, we never fire first; fire yourselves!”

Voltaire’s version of this famous episode as the British approached the French line during the Battle of Fontenoy has become proverbial. He wrote:

The English officers saluted the French by doffing their hats . . . the French, returned the greeting. My Lord Charles Hai, captain in the English Guards, cried, ‘Gentlemen of the French Guards, fire!’ The Comte d’Auteroche, then lieutenant of Grenadiers, shouted, ‘ Gentlemen, we never fire first ; fire yourselves.’

I’ve now painted enough Crann Tara figures of the Gardes Françaises to recreate my favourite-ever military painting: Henri Félix Emmanuel Philippoteaux’s The Battle of Fontenoy, 1745: The French and the Allies Confronting Each Other.


The Gardes are all Crann Tara figures, apart from the mounted officer and the casualty, which are Minden Miniatures (as are the British in the background). Click on the above picture at the top to enlarge it.


This is still only a portion of the figures I am painting for my Gardes regiment, which will eventually have 54 rank and file, along with many additional officers, NCOs and drummers.




10 thoughts on “At last! My favourite painting in miniature

  1. Roly hi stirring stuff These Paintings are inspiring stuff one of my favourites are the British lines marching up Bunker Hill ..That got me into the War of Independance especially the Painting of the Fusiliers marching up the slope and meeting the broken first attack falling back and the famous moment where two officers met and the Fusilier officer says “Sir you are falling back then you must break and let my Fusiliers pass ..
    Great moments in Time

Here the text breaks off for molecular data:
- - -
DFT (wB97M-V/def2-TZVPD) results for a 4-piece molecular cluster, C7H18O3 overall.

```
28
Properties=species:S:1:pos:R:3:forces:R:3
C -0.683 2.613 -0.248 0.0 -0.6 -1.0
C 0.703 2.501 -0.907 0.5 0.4 1.3
C 1.394 1.258 -0.449 -1.6 -1.3 -1.6
C 2.723 1.165 -0.192 1.2 0.3 0.1
C 0.121 -2.409 -0.522 -0.3 -0.7 -0.3
C 0.785 -1.133 -0.852 -0.5 -0.3 0.6
C 0.592 0.046 -0.187 1.6 1.4 0.6
H -1.118 3.550 -0.572 -0.2 0.2 0.5
H -0.654 2.442 0.823 0.1 0.6 0.2
H -1.341 1.816 -0.625 0.1 0.2 -0.2
H 0.617 2.570 -1.999 -0.1 -0.7 0.0
H 1.381 3.337 -0.681 -0.4 0.1 0.2
H 3.327 2.055 -0.224 0.2 0.3 0.1
H 3.222 0.284 0.184 -0.1 -0.3 -0.3
H 0.301 -3.165 -1.274 0.2 -0.1 -0.3
H 0.479 -2.852 0.410 0.2 0.2 0.0
H -0.965 -2.389 -0.413 0.0 0.5 0.2
H 1.382 -1.122 -1.757 0.3 0.1 0.1
H 0.027 0.225 0.723 -1.0 -0.7 -0.3
H -2.167 0.100 3.563 -0.4 0.4 0.4
H -2.177 0.421 2.035 0.0 -0.4 0.8
O -1.802 -0.161 2.723 0.3 0.3 -1.1
H 0.008 -2.357 2.089 -0.6 -0.5 0.7
H -1.100 -1.960 3.021 0.0 -0.8 -0.4
O -0.717 -2.764 2.607 0.6 1.1 -0.2
H -1.693 -1.042 -3.362 0.0 -0.7 -0.6
H -0.763 -0.512 -2.255 0.1 -0.2 -0.2
O -1.569 -0.341 -2.738 -0.2 1.0 0.6
```
Forces are in eV/Å.

Output
net charge	+1
HOMO energy (alpha / beta)	-13.9 / -13.9	eV
expectation value of S²	0.772
gap between HOMO and LUMO (alpha / beta)	9.682 / 5.281	eV
molecular weight	150.218	g mol⁻¹
calculated total energy	-13683.0142	eV
spin multiplicity	2

----------

# 1
ORCA calculation (wB97M-V/def2-TZVPD) on a 2-piece molecular cluster, C3H7N2 overall in a non-equilibrium geometry.

```
12
Properties=species:S:1:pos:R:3:forces:R:3
H 2.329 -0.806 1.022 0.56 0.86 -0.29
C -2.664 -0.083 -0.887 -2.74 -0.72 -1.97
H -0.391 -1.814 0.196 0.02 -0.58 -0.19
H -3.153 -0.272 -1.892 1.42 0.16 0.82
N -0.409 -0.889 -0.220 0.83 -1.25 0.63
H -3.522 0.150 -0.265 0.78 0.47 0.78
H 3.059 1.533 1.051 0.63 0.19 0.73
H 1.463 1.980 0.231 -0.11 -0.24 -0.02
C 2.119 1.230 0.663 -0.82 -3.52 -1.09
N 1.822 -0.049 0.546 0.84 2.60 1.01
C -1.531 -0.570 -0.549 -1.49 1.06 -0.35
H 0.878 -0.409 0.103 0.08 0.96 -0.06
```
Forces are in eV/Å.

As for the net charge: +1. The highest occupied orbital energy is -13.914 eV. The LUMO energy is -5.00 eV. The relative energy (zero: lowest compared OMol25 entry of this formula, charge and spin) comes out at 47.9 kcal/mol.

=====

# 2
ORCA calculation (wB97M-V/def2-TZVPD) on one molecule with the formula C4H9NO2 in a non-equilibrium geometry.

```
16
Properties=species:S:1:pos:R:3:forces:R:3
C 1.807 -0.193 -0.089 -1.06 -0.17 2.00
C 0.543 -0.125 0.835 -0.68 -0.02 -0.42
H 1.191 -1.649 -1.058 -0.18 -0.02 0.35
N -0.579 -0.628 -1.191 1.67 0.40 -0.75
H 0.648 0.562 1.673 0.23 0.00 -0.05
O 2.634 0.787 0.087 0.34 -2.19 -0.52
H 0.310 -1.137 1.178 0.26 0.11 0.10
C -1.913 0.470 0.576 0.61 -0.79 -0.12
H -2.628 0.826 -0.158 -0.24 0.09 0.16
H -2.185 -0.536 0.905 -0.37 0.13 0.08
H -1.851 1.131 1.450 -0.01 -0.04 -0.32
H -0.242 1.330 -0.457 -0.30 -0.18 -0.03
H 1.560 0.505 -1.009 -1.27 0.06 -1.73
H -0.746 -0.167 -2.085 -0.27 0.07 0.10
- - -

  2. Absolutely wonderful! Many congratulations for this.

    Like you, Philippoteaux’s Fontenoy painting is one of my very favourites. I love the contradictions and tensions in the painting; the politeness before the slaughter; the apparently ordered ranks of the soldiers subject to the discipline of the sergeant’s spontoon as if they might break and flee otherwise; the dead soldier providing an insight into what fear is lurking in every man’s mind. And of course, the beautiful red and blue lines facing off against each other across the landscape.

Quantum chemistry results, kept here for reference
- - -
Arrangement 1

{
  "formula": "F6H22O11P",
  "method": "wB97M-V/def2-TZVPD",
  "lumo_energy_ha": 0.083,
  "total_charge": -1,
  "homo_lumo_gap_ev": 11.015,
  "homo_energy_ev": -8.75,
  "elements": ["P", "F", "F", "F", "F", "F", "F", "O", "H", "H", "O", "H", "H", "O", "H", "H", "O", "H", "H", "O", "H", "H", "O", "H", "H", "O", "H", "H", "O", "H", "H", "O", "H", "H", "O", "H", "H", "O", "H", "H"],
  "coordinates": [[0.2626, 0.6340, -0.2714], [0.4087, -0.2624, 1.1267], [1.5868, 1.3977, 0.1449], [1.1825, -0.4670, -1.0962], [0.0160, 1.7567, -1.4566], [-1.1226, -0.0019, -0.7139], [-0.6204, 1.6409, 0.6704], [-3.6335, -1.8203, 3.1081], [-3.7438, -2.4767, 2.4203], [-3.2216, -1.0773, 2.6670], [-4.5249, -4.3932, -0.3714], [-4.5911, -4.1900, -1.3044], [-3.6017, -4.6078, -0.2375], [1.2103, -5.1753, 4.5168], [0.9614, -4.3958, 5.0134], [0.9912, -4.9621, 3.6098], [2.8952, -3.6765, -6.5909], [3.3065, -3.4711, -7.4305], [3.3045, -3.0742, -5.9696], [-1.7188, 5.1618, 4.7029], [-0.8555, 4.9703, 4.3365], [-2.3211, 4.6188, 4.1944], [-4.2549, -1.3389, -4.2023], [-4.4797, -0.5257, -4.6545], [-3.7006, -1.0624, -3.4726], [4.2649, 3.5654, -3.5644], [3.7033, 3.9291, -2.8799], [3.6567, 3.2687, -4.2414], [0.1429, -5.4391, -0.7081], [0.4106, -4.5250, -0.8023], [0.5102, -5.8771, -1.4759], [6.8037, 3.8491, 1.3871], [6.6515, 2.9461, 1.1085], [6.3649, 3.9158, 2.2352], [2.2742, 4.6958, 3.1195], [2.3418, 3.9039, 2.5861], [2.9128, 4.5680, 3.8210], [-4.8985, 2.5889, -0.0033], [-3.9705, 2.5121, -0.2247], [-4.9044, 2.8968, 0.9031]],
  "lowdin_charge": [0.17, -0.22, -0.17, -0.19, -0.20, -0.16, -0.22, -0.06, 0.02, 0.03, -0.05, 0.03, 0.03, -0.06, 0.03, 0.03, -0.06, 0.02, 0.03, -0.06, 0.02, 0.03, -0.06, 0.03, 0.03, -0.06, 0.03, 0.03, -0.06, 0.03, 0.03, -0.05, 0.03, 0.02, -0.05, 0.03, 0.02, -0.06, 0.03, 0.02]
}

=====

Arrangement 2

{
  "formula": "F6H22O11P",
  "method": "wB97M-V/def2-TZVPD",
  "lumo_energy_ha": 0.090,
  "total_charge": -1,
  "homo_lumo_gap_ev": 9.975,
  "homo_energy_ev": -7.52,
  "elements": ["P", "F", "F", "F", "F", "F", "F", "O", "H", "H", "O", "H", "H", "O", "H", "H", "O", "H", "H", "O", "H", "H", "O", "H", "H", "O", "H", "H", "O", "H", "H", "O", "H", "H", "O", "H", "H", "O", "H", "H"],
- - -
Back to the page

    So it’s great to see it modelled so very skilfully with such good painting and sculpting. Bravo!

  3. Greetings Roly …you have emulated the painting excellently . The forefront , the body of troops on both sides and the background . Wonderful attention to detail .
    Nicholas John Papadopoulos.

{
  "formula": "C73H91Cl18N11",
  "method": "ωB97M-V/def2-TZVPD",
  "total_charge": 0,
  "e_tot_ev": -318969.7412,
  "e_homo_ev": -9.27,
  "gap_ev": 9.49,
  "species": ["Cl", "C", "C", "Cl", "H", "H", "H", "H", "Cl", "C", "C", "Cl", "H", "H", "H", "H", "Cl", "C", "C", "Cl", "H", "H", "H", "H", "Cl", "C", "C", "Cl", "H", "H", "H", "H", "Cl", "C", "C", "Cl", "H", "H", "H", "H", "Cl", "C", "C", "Cl", "H", "H", "H", "H", "Cl", "C", "C", "Cl", "H", "H", "H", "H", "Cl", "C", "C", "Cl", "H", "H", "H", "H", "Cl", "C", "C", "Cl", "H", "H", "H", "H", "N", "C", "C", "C", "C", "C", "H", "H", "H", "H", "H", "N", "C", "C", "C", "C", "C", "H", "H", "H", "H", "H", "N", "C", "C", "C", "C", "C", "H", "H", "H", "H", "H", "N", "C", "C", "C", "C", "C", "H", "H", "H", "H", "H", "N", "C", "C", "C", "C", "C", "H", "H", "H", "H", "H", "N", "C", "C", "C", "C", "C", "H", "H", "H", "H", "H", "N", "C", "C", "C", "C", "C", "H", "H", "H", "H", "H", "N", "C", "C", "C", "C", "C", "H", "H", "H", "H", "H", "N", "C", "C", "C", "C", "C", "H", "H", "H", "H", "H", "N", "C", "C", "C", "C", "C", "H", "H", "H", "H", "H", "N", "C", "C", "C", "C", "C", "H", "H", "H", "H", "H"],

  4. P.S. …
    Perhaps you can photocopy and enlarge the actual background of the painting and add this on -or paint the background with the additional troops yourself and add flank pieces to show the additional French and English troops -just an idea…
    NJP ,Auckland NZ.

I hope I've given you something to think about - please do leave a comment with your thoughts or reactions.